# Activity
Now set down the entries underneath without additions.

# Listing
┌──
# 1
Molecular formula: C16H20Br2CoN3O6
Method: DFT, ωB97M-V/def2-TZVPD

XYZ file:
```
48
Properties=species:S:1:pos:R:3
Br 3.413 -1.521 -2.931
Br -0.892 0.513 -5.978
Co 0.620 0.418 0.659
O 0.473 0.437 2.834
O 1.347 1.225 4.736
O 2.761 0.499 1.575
O 2.323 3.886 0.738
O 1.635 -0.428 -0.580
O 0.900 2.186 0.612
N -0.637 0.731 -0.696
N -0.134 -1.498 0.951
N -2.030 -3.883 -0.170
C 1.745 -0.674 -2.989
C -0.754 0.644 -3.121
C -2.438 1.766 -1.812
C -1.965 1.370 -3.032
C 2.130 2.707 0.727
C 1.110 -0.432 -4.228
C 1.138 -0.279 -1.823
C 3.221 1.651 0.827
C -1.737 1.458 -0.624
C -0.100 0.208 -4.302
C 1.430 0.792 3.512
C -2.044 -3.150 1.160
C -0.117 0.357 -1.908
C -1.583 -1.702 1.050
C -2.206 1.966 0.700
C 2.830 0.658 2.976
H -3.293 1.936 0.761
H -1.420 -3.735 1.834
H -1.938 -1.195 1.948
H -2.514 -4.782 -0.093
H 3.481 1.284 -0.164
H -2.500 1.627 -3.937
H 0.334 -1.826 1.793
H 4.108 2.074 1.294
H -1.776 1.411 1.534
H 0.303 -1.960 0.157
H 0.423 1.258 5.036
H 3.239 -0.257 3.415
H -2.503 -3.346 -0.902
H -3.345 2.349 -1.734
H -1.083 -4.087 -0.498
H -2.063 -1.206 0.203
H 3.457 1.491 3.294
H -3.072 -3.196 1.513
H -1.887 3.004 0.815
H 1.608 -0.749 -5.134
```

Its multiplicity is 1. The value obtained for the energy above the lowest of the compared OMol25 structures with the same formula, charge and spin is 0.0 kJ/mol. The HOMO energy (alpha / beta) is -13.496 / -13.494 eV. The total charge is +2. The maximum force comes out at 0.020 hartree/bohr.

Atomic partial charges in e from the Löwdin method, atoms 1 to 2: atom 1 (Br): 0.865, atom 2 (Br): 0.861

---

# 2
Molecular formula: C30H46FeN9O2Si
Method: DFT, ωB97M-V/def2-TZVPD

XYZ file:
```
89
Properties=species:S:1:pos:R:3
Fe 0.244 0.041 -0.278
Si 2.752 -1.063 1.350
O -0.499 1.829 1.108
O 1.849 0.044 -1.868
N -0.730 -1.582 -1.477
N -2.110 -2.762 -0.007
N -0.991 1.243 -1.694
N 1.564 0.191 1.276
N -2.307 -3.125 -2.256
N -2.104 -2.881 2.314
N 2.846 1.348 -3.435
N -3.351 3.640 -4.158
N -0.975 -1.144 1.180
C 2.164 -0.889 -4.066
C -3.203 4.224 0.584
C -2.209 -4.339 2.327
C 3.276 -1.581 3.073
C -1.183 2.884 -3.431
C 1.473 1.223 2.196
C 5.180 0.648 -3.412
C -1.666 -2.437 -1.270
C -1.753 2.417 1.171
C 4.152 1.597 -2.785
C 2.218 0.197 -3.025
C -1.768 -2.289 3.601
C -2.790 1.769 1.819
C -2.328 1.241 -1.614
C 1.069 3.278 4.123
C -1.944 3.641 0.557
C 3.612 -1.109 -4.581
C -3.150 2.019 -2.392
C 4.316 -0.615 0.431
C 1.995 -2.579 0.532
C -4.261 3.576 1.207
C -1.669 -2.212 1.198
C 0.357 2.071 2.187
C 2.228 2.521 4.127
C -4.051 2.349 1.826
C 2.426 1.522 3.184
C 0.125 3.053 3.126
C -2.582 2.872 -3.344
C 4.708 -0.816 -3.530
C -0.448 2.076 -2.593
H 1.495 -0.599 -4.881
H 4.102 -0.482 -0.626
H 3.788 -0.506 -5.476
H 1.770 -1.794 -3.605
H -4.340 3.708 -4.010
H 6.099 0.675 -2.823
H 4.080 -0.954 3.461
H 2.450 -1.536 3.788
H 3.650 -2.609 3.052
H 4.431 2.638 -2.934
H -2.754 -4.633 3.220
H 1.372 -2.330 -0.329
H -4.223 1.977 -2.253
H 3.703 -2.149 -4.894
H -2.037 -1.234 3.612
H -0.705 -2.389 3.844
H 4.035 1.426 -1.717
H -2.758 0.568 -0.880
H -2.928 4.306 -4.778
H 5.430 1.017 -4.412
H -1.227 -4.820 2.345
H -0.523 -1.493 -2.467
H -3.354 5.190 0.118
H -2.873 -3.410 0.052
H -1.106 4.127 0.073
H 2.773 -3.264 0.180
H -4.871 1.845 2.322
H 5.580 -1.420 -3.778
H 4.362 -1.167 -2.554
H 2.993 2.708 4.870
H -0.679 3.528 -4.140
H -2.078 -2.947 -3.216
H -3.024 -3.800 -2.067
H 3.343 0.953 3.202
H -5.244 4.028 1.223
H 0.632 2.117 -2.626
H 4.731 0.321 0.816
H -2.763 -4.727 1.476
H -2.599 0.826 2.313
H 5.081 -1.391 0.534
H -2.350 -2.788 4.372
H -0.616 -0.865 2.087
H 1.370 -3.125 1.245
H -0.777 3.649 3.086
H 0.897 4.043 4.867
H 2.963 1.365 -4.441
```

Its multiplicity is 5. The value obtained for the energy above the lowest of the compared OMol25 structures with the same formula, charge and spin is 0.0 kJ/mol. The HOMO energy (alpha / beta) is -8.716 / -8.778 eV. The total charge is +1. The maximum force comes out at 0.012 hartree/bohr.

Atomic partial charges in e from the Löwdin method, atoms 1 to 2: atom 1 (Fe): 0.766, atom 2 (Si): 0.374

---

# 3
└──

# Result
# 1
Molecular formula: C16H20Br2CoN3O6
Method: DFT, ωB97M-V/def2-TZVPD

XYZ file:
```
48
Properties=species:S:1:pos:R:3
Br 3.413 -1.521 -2.931
Br -0.892 0.513 -5.978
Co 0.620 0.418 0.659
O 0.473 0.437 2.834
O 1.347 1.225 4.736
O 2.761 0.499 1.575
O 2.323 3.886 0.738
O 1.635 -0.428 -0.580
O 0.900 2.186 0.612
N -0.637 0.731 -0.696
N -0.134 -1.498 0.951
N -2.030 -3.883 -0.170
C 1.745 -0.674 -2.989
C -0.754 0.644 -3.121
C -2.438 1.766 -1.812
C -1.965 1.370 -3.032
C 2.130 2.707 0.727
C 1.110 -0.432 -4.228
C 1.138 -0.279 -1.823
C 3.221 1.651 0.827
C -1.737 1.458 -0.624
C -0.100 0.208 -4.302
C 1.430 0.792 3.512
C -2.044 -3.150 1.160
C -0.117 0.357 -1.908
C -1.583 -1.702 1.050
C -2.206 1.966 0.700
C 2.830 0.658 2.976
H -3.293 1.936 0.761
H -1.420 -3.735 1.834
H -1.938 -1.195 1.948
H -2.514 -4.782 -0.093
H 3.481 1.284 -0.164
H -2.500 1.627 -3.937
H 0.334 -1.826 1.793
H 4.108 2.074 1.294
H -1.776 1.411 1.534
H 0.303 -1.960 0.157
H 0.423 1.258 5.036
H 3.239 -0.257 3.415
H -2.503 -3.346 -0.902
H -3.345 2.349 -1.734
H -1.083 -4.087 -0.498
H -2.063 -1.206 0.203
H 3.457 1.491 3.294
H -3.072 -3.196 1.513
H -1.887 3.004 0.815
H 1.608 -0.749 -5.134
```

Its multiplicity is 1. The value obtained for the energy above the lowest of the compared OMol25 structures with the same formula, charge and spin is 0.0 kJ/mol. The HOMO energy (alpha / beta) is -13.496 / -13.494 eV. The total charge is +2. The maximum force comes out at 0.020 hartree/bohr.

Atomic partial charges in e from the Löwdin method, atoms 1 to 2: atom 1 (Br): 0.865, atom 2 (Br): 0.861

---

# 2
Molecular formula: C30H46FeN9O2Si
Method: DFT, ωB97M-V/def2-TZVPD

XYZ file:
```
89
Properties=species:S:1:pos:R:3
Fe 0.244 0.041 -0.278
Si 2.752 -1.063 1.350
O -0.499 1.829 1.108
O 1.849 0.044 -1.868
N -0.730 -1.582 -1.477
N -2.110 -2.762 -0.007
N -0.991 1.243 -1.694
N 1.564 0.191 1.276
N -2.307 -3.125 -2.256
N -2.104 -2.881 2.314
N 2.846 1.348 -3.435
N -3.351 3.640 -4.158
N -0.975 -1.144 1.180
C 2.164 -0.889 -4.066
C -3.203 4.224 0.584
C -2.209 -4.339 2.327
C 3.276 -1.581 3.073
C -1.183 2.884 -3.431
C 1.473 1.223 2.196
C 5.180 0.648 -3.412
C -1.666 -2.437 -1.270
C -1.753 2.417 1.171
C 4.152 1.597 -2.785
C 2.218 0.197 -3.025
C -1.768 -2.289 3.601
C -2.790 1.769 1.819
C -2.328 1.241 -1.614
C 1.069 3.278 4.123
C -1.944 3.641 0.557
C 3.612 -1.109 -4.581
C -3.150 2.019 -2.392
C 4.316 -0.615 0.431
C 1.995 -2.579 0.532
C -4.261 3.576 1.207
C -1.669 -2.212 1.198
C 0.357 2.071 2.187
C 2.228 2.521 4.127
C -4.051 2.349 1.826
C 2.426 1.522 3.184
C 0.125 3.053 3.126
C -2.582 2.872 -3.344
C 4.708 -0.816 -3.530
C -0.448 2.076 -2.593
H 1.495 -0.599 -4.881
H 4.102 -0.482 -0.626
H 3.788 -0.506 -5.476
H 1.770 -1.794 -3.605
H -4.340 3.708 -4.010
H 6.099 0.675 -2.823
H 4.080 -0.954 3.461
H 2.450 -1.536 3.788
H 3.650 -2.609 3.052
H 4.431 2.638 -2.934
H -2.754 -4.633 3.220
H 1.372 -2.330 -0.329
H -4.223 1.977 -2.253
H 3.703 -2.149 -4.894
H -2.037 -1.234 3.612
H -0.705 -2.389 3.844
H 4.035 1.426 -1.717
H -2.758 0.568 -0.880
H -2.928 4.306 -4.778
H 5.430 1.017 -4.412
H -1.227 -4.820 2.345
H -0.523 -1.493 -2.467
H -3.354 5.190 0.118
H -2.873 -3.410 0.052
H -1.106 4.127 0.073
H 2.773 -3.264 0.180
H -4.871 1.845 2.322
H 5.580 -1.420 -3.778
H 4.362 -1.167 -2.554
H 2.993 2.708 4.870
H -0.679 3.528 -4.140
H -2.078 -2.947 -3.216
H -3.024 -3.800 -2.067
H 3.343 0.953 3.202
H -5.244 4.028 1.223
H 0.632 2.117 -2.626
H 4.731 0.321 0.816
H -2.763 -4.727 1.476
H -2.599 0.826 2.313
H 5.081 -1.391 0.534
H -2.350 -2.788 4.372
H -0.616 -0.865 2.087
H 1.370 -3.125 1.245
H -0.777 3.649 3.086
H 0.897 4.043 4.867
H 2.963 1.365 -4.441
```

Its multiplicity is 5. The value obtained for the energy above the lowest of the compared OMol25 structures with the same formula, charge and spin is 0.0 kJ/mol. The HOMO energy (alpha / beta) is -8.716 / -8.778 eV. The total charge is +1. The maximum force comes out at 0.012 hartree/bohr.

Atomic partial charges in e from the Löwdin method, atoms 1 to 2: atom 1 (Fe): 0.766, atom 2 (Si): 0.374

---

# 3